Supports focused resource development and dissemination, T/TA, and workforce development to staff in Centers for Medicare & Medicaid Services (CMS)-certified nursing facilities who serve individuals with Serious Mental Illness, Serious Emotional Disturbance, Substance Use Disorder, or Co-occurring Disorder.
Engages, empowers, and educates health care providers and community-based organizations for equity in behavioral health for older adults and their families.
Increases access to, and effectiveness of, evidence-based mental health services for young people and their families, supports Children’s Mental Health Initiative grantees, and provides T/TA and resources to providers, organizations, and agencies from across the system of care.
........
No. 1
The following is a calculated powder diffraction line list of Hf5In2Au2. It was derived from a crystal structure in Alexandria, relaxed with PBE, using Cu Kα (λ = 1.5418 Å).
Kinematic intensities with the Lorentz-polarization factor, no thermal factor.

Peak list (6 most intense, 2θ = 5–70°, in order of rising 2θ)
32.81 deg, intensity 36, (0 1 3)
37.61 deg, intensity 64, (1 6 1)
37.92 deg, intensity 100, (1 2 3)
38.12 deg, intensity 57, (1 5 2)
39.05 deg, intensity 37, (0 7 1)
39.20 deg, intensity 32, (2 0 2)

Crystal structure
```
data_Hf5In2Au2
_chemical_formula_sum 'Hf20 In8 Au8'
_cell_length_a 5.5202
_cell_length_b 16.8051
_cell_length_c 8.2994
_cell_angle_alpha 90.00
_cell_angle_beta 90.00
_cell_angle_gamma 90.00
_space_group_name_H-M_alt 'I m m a'
_space_group_IT_number 74
_space_group_name_Hall '-I 2b 2'
loop_
_atom_site_label
_atom_site_type_symbol
_atom_site_fract_x
_atom_site_fract_y
_atom_site_fract_z
Hf1 Hf 0.0000 0.1601 0.1138
Hf2 Hf 0.0000 0.2500 0.4790
Hf3 Hf 0.2500 0.0954 0.7500
In1 In 0.0000 0.0730 0.4136
Au1 Au 0.0000 0.0000 0.0000
Au2 Au 0.0000 0.2500 0.8278
```

---

No. 2
The following is a calculated powder diffraction line list of TcNi2. It was derived from a crystal structure in Alexandria, relaxed with PBE, using Cu Kα (λ = 1.5418 Å).
Kinematic intensities with the Lorentz-polarization factor, no thermal factor.

Peak list (6 most intense, 2θ = 5–70°, in order of rising 2θ)
23.46 deg, intensity 6, (0 0 2)
26.79 deg, intensity 8, (0 1 1)
42.84 deg, intensity 100, (1 1 0)
43.34 deg, intensity 97, (0 1 3)
49.21 deg, intensity 33, (0 2 0)
50.66 deg, intensity 60, (1 0 3)

Crystal structure
```
data_TcNi2
_chemical_formula_sum 'Tc2 Ni4'
_cell_length_a 2.5695
_cell_length_b 3.7033
_cell_length_c 7.5835
_cell_angle_alpha 90.00
_cell_angle_beta 90.00
_cell_angle_gamma 90.00
_space_group_name_H-M_alt 'I m m m'
_space_group_IT_number 71
_space_group_name_Hall '-I 2 2'
loop_
_atom_site_label
_atom_site_type_symbol
_atom_site_fract_x
_atom_site_fract_y
_atom_site_fract_z
Tc1 Tc 0.0000 0.0000 0.0000
Ni1 Ni 0.0000 0.0000 0.3338
```

---

No. 3
The following is a calculated powder diffraction line list of AcPr12Y7. It was derived from a crystal structure in Alexandria, relaxed with PBE, using Cu Kα (λ = 1.5418 Å).
Kinematic intensities with the Lorentz-polarization factor, no thermal factor.

Peak list (6 most intense, 2θ = 5–70°, in order of rising 2θ)
29.66 deg, intensity 28, (0 1 5)
30.01 deg, intensity 26, (0 3 3)
30.19 deg, intensity 100, (4 -3 1)
31.55 deg, intensity 55, (3 -1 4)
31.80 deg, intensity 52, (3 1 2)
52.56 deg, intensity 28, (2 5 0)

Crystal structure
```
data_AcPr12Y7
_chemical_formula_sum 'Ac3 Pr36 Y21'
_cell_length_a 12.5523
_cell_length_b 12.5523
_cell_length_c 15.6737
_cell_angle_alpha 90.00
_cell_angle_beta 90.00
_cell_angle_gamma 120.00
_space_group_name_H-M_alt 'R -3'
_space_group_IT_number 148
_space_group_name_Hall '-R 3'
loop_
_atom_site_label
_atom_site_type_symbol
_atom_site_fract_x
........
End of the calculated crystals:
Develops and maintains the National Child Traumatic Stress Network (the Network), a collaborative network structure, supports resource and policy development and dissemination, and coordinates the Network’s national child trauma education and training efforts.
Expands the availability of training in evidence-based housing and treatment models focused on adults, children, and families who are experiencing or at risk of homelessness and have a serious mental illness, serious emotional disturbance, substance use disorders, or co-occurring disorders.
Provides T/TA for federally recognized tribes and tribal organizations, SAMHSA tribal grantees, and selected American Indian/Alaska Native (AIAN) communities and tribes to develop and implement a Tribal Action Plan. Helps AIAN communities build local capacity around substance use disorders, suicide prevention, and mental health using a culturally relevant, evidence-based, holistic approach.
Coordinates SAMHSA and Administration for Community Living T/TA initiatives, facilitates dissemination of substantive information to the 57 state protection and advocacy systems, provides each federal agency with full representation opportunities for adequate discussions and consideration of its interest and concerns, and enhances each agency’s ability to monitor emergent issues and problems in the field.
Grows the capacity of healthcare providers and organizations that serve refugee and migrant people in the US. Provides T/TA that is culturally relevant, language-relevant, resiliency focused, and trauma-informed.
Assist states in the administration of the Community Mental Health Services Block Grant (MHBG). The TAC focuses on work with a group of coalition partners to develop training for the states administering MHBG services.
Assists states in the administration of the Community Mental Health Services Block Grant (MHBG). Via mini-grants to states, the TTI focuses on implementing evidence-based treatment and systems changes, supports peer-to-peer learning, and provides ongoing guidance to MHBG stakeholders.
Develops and disseminates T/TA for health care practitioners on issues related to addressing eating disorders, updates materials related to eating disorders, ensures training provided to health professionals is high-quality, and facilitates the identification of model programs.
Promotes national uptake of the CCBHC model and provides CCBHC-related TA to states to facilitate knowledge, capacity, and quality improvement for statewide CCBHC development, implementation, and advancement.
7 Generations advances behavioral health equity of the AIAN population by (1) developing and disseminating culturally informed, evidence-based behavioral health information and (2) providing T/TA to address behavioral health disparities in AIAN communities including access to health services, funding, and resources; quality and quantity of services; treatment outcomes; and health education and prevention.
Records of crystals, kept here for reference:
(1)
# Li2CeNd2Ga2
Calculated X-ray powder pattern, Cu Kα. Input: a structure optimized by DFT (PBE).

Structure:
```
data_Li2CeNd2Ga2
_chemical_formula_sum 'Li6 Ce3 Nd6 Ga6'
_space_group_name_H-M_alt 'R -3 m'
_space_group_IT_number 166
_space_group_name_Hall '-R 3 2"'
_cell_length_a 4.7454
_cell_length_b 4.7454
_cell_length_c 25.6393
_cell_angle_alpha 90.00
_cell_angle_beta 90.00
_cell_angle_gamma 120.00
loop_
_atom_site_label
_atom_site_fract_x
_atom_site_fract_y
_atom_site_fract_z
_atom_site_occupancy
Li1 0.0000 0.0000 0.1087 1
Ce1 0.0000 0.0000 0.5000 1
Nd1 0.0000 0.0000 0.3747 1
Ga1 0.0000 0.0000 0.2343 1
```

Principal peaks in the range 5 to 70 degrees two-theta, sorted by position:
2theta, I/Imax, (hkl)
21.9, 100, 1 0 1
32.8, 68, 1 0 7
35.5, 82, 0 1 8
37.9, 81, 1 1 0
51.0, 19, 0 2 7
52.9, 26, 2 0 8
66.9, 25, 1 2 8
67.5, 21, 1 1 15

---

(2)
# AcNdHg2
Calculated X-ray powder pattern, Cu Kα. Input: a structure optimized by DFT (PBE).

Structure:
```
data_AcNdHg2
_chemical_formula_sum 'Ac4 Nd4 Hg8'
_space_group_name_H-M_alt 'C m c m'
_space_group_IT_number 63
_space_group_name_Hall '-C 2c 2'
_cell_length_a 7.8935
_cell_length_b 11.1868
_cell_length_c 5.5624
_cell_angle_alpha 90.00
_cell_angle_beta 90.00
_cell_angle_gamma 90.00
loop_
_atom_site_label
_atom_site_fract_x
_atom_site_fract_y
_atom_site_fract_z
_atom_site_occupancy
Ac1 0.0000 0.1250 0.2500 1
Nd1 0.0000 0.3745 0.7500 1
Hg1 0.2356 0.3781 0.2500 1
```

Principal peaks in the range 5 to 70 degrees two-theta, sorted by position:
2theta, I/Imax, (hkl)
32.1, 100, 0 4 0
32.2, 20, 0 0 2
46.0, 22, 0 4 2
57.1, 23, 2 6 1
57.3, 23, 2 2 3
66.9, 2, 0 8 0
67.1, 9, 4 4 2
67.3, 2, 0 0 4

=====

Record 1
Pu2PaZn2Si2: computed PXRD pattern (Cu Kα (λ = 1.5418 Å)), based on a GGA-PBE-relaxed structure.
Intensities are scaled so that the largest is 100.

The 10 most intense peaks (10° ≤ 2θ ≤ 90°), in order of rising 2θ:
- 19.70°, d = 4.506 Å, I = 39
- 25.99°, d = 3.428 Å, I = 51
- 30.70°, d = 2.912 Å, I = 30
- 34.83°, d = 2.576 Å, I = 100
- 37.21°, d = 2.416 Å, I = 25
- 45.45°, d = 1.995 Å, I = 65
- 49.99°, d = 1.825 Å, I = 23
- 51.27°, d = 1.782 Å, I = 22
- 58.51°, d = 1.577 Å, I = 23
- 77.07°, d = 1.237 Å, I = 21

Cell and atoms:
```
data_Pu2PaZn2Si2
_chemical_formula_sum 'Pu2 Pa1 Zn2 Si2'
_cell_length_a 9.301
_cell_length_b 9.301
_cell_length_c 9.301
_cell_angle_alpha 24.78
_cell_angle_beta 24.78
_cell_angle_gamma 24.78
_space_group_name_H-M_alt 'P 1'
_space_group_IT_number 1
loop_
_space_group_symop_operation_xyz
'x,y,z'
loop_
_atom_site_label
_atom_site_fract_x
_atom_site_fract_y
_atom_site_fract_z
Pu1 0.150 0.150 0.150
Pu2 0.850 0.850 0.850
Pa1 0.000 0.000 0.000
Zn1 0.406 0.406 0.406
Zn2 0.594 0.594 0.594
Si1 0.258 0.258 0.258
Si2 0.742 0.742 0.742
```

Record 2
PuPa2Ta: computed PXRD pattern (Cu Kα (λ = 1.5418 Å)), based on a GGA-PBE-relaxed structure.
Intensities are scaled so that the largest is 100.

The 10 most intense peaks (10° ≤ 2θ ≤ 90°), in order of rising 2θ:
Provides T/TA to SAMHSA CCBHC-E grantees to facilitate (1) implementation and adherence to the CCBHC model, (2) use of evidence-based practices, and (3) sustainability of the CCBHC to improve access to coordinated, quality care.
Develops and disseminates information, guidance, and training on the impact of children and youth’s social media use (risks and benefits), especially the potential risks social media platforms pose to their mental health; and the clinical and societal interventions that could be used to address these risks.
Fosters recovery-oriented, early intervention programming for individuals who experience early serious mental illness. It provides support for individuals, families, providers, and community partners.
Advances positive partnerships between families and providers to promote stronger and more sustainable outcomes for families and their children across the lifespan by supporting caregivers of children who experience serious mental illness and/or substance use disorder.